### Brief
Your job: write out the whole of the data further below exactly.

### Data
~~~
*P*
FeCu2Cl: single point on PBEsol structure, SCAN.

Geometry as extended XYZ:
```
4
Lattice="2.759 0.000 0.000 0.000 3.907 0.000 -1.380 -1.954 5.095" Properties=species:S:1:pos:R:3 pbc="T T T"
Cu 0.000 0.000 2.844
Cl 1.380 0.000 0.000
Cu 1.380 1.954 2.251
Fe 0.000 1.954 0.000
```

Values from the calculation:
**Magnetic moment**: 0.818 μB per atom
**Calculated density**: 6.60 Mg/m³

*Q*
FeCu2Cl: single point on PBEsol structure, SCAN.

Geometry as extended XYZ:
```
4
Lattice="-2.040 -1.096 1.497 -0.023 -3.032 -2.252 4.836 -0.450 3.723" Properties=species:S:1:pos:R:3 pbc="T T T"
Cu 0.327 -0.216 0.288
Cl 1.337 -2.106 2.821
Cu 1.285 -2.372 0.014
Fe 3.627 -2.397 3.190
```

Values from the calculation:
**Magnetic moment**: 0.786 μB per atom
**Calculated density**: 6.16 Mg/m³

Short version: *P* is the least stable of them.

*P*
FeCuCl: single point on PBEsol structure, SCAN.

Geometry as extended XYZ:
```
3
Lattice="2.892 0.013 0.000 -1.299 2.583 0.000 -0.796 -1.298 5.721" Properties=species:S:1:pos:R:3 pbc="T T T"
Fe 0.000 0.000 3.831
Cl 0.796 1.298 5.648
Cu 0.796 1.298 1.963
```

Values from the calculation:
**Magnetic moment**: 1.083 μB per atom
**Calculated density**: 6.00 Mg/m³

*Q*
FeCuCl: single point on PBEsol structure, SCAN.

Geometry as extended XYZ:
```
3
Lattice="-1.496 2.255 -0.833 -2.029 -0.659 1.861 4.276 2.285 3.317" Properties=species:S:1:pos:R:3 pbc="T T T"
Fe 1.689 2.072 2.574
Cu -0.787 1.995 2.001
Cl 0.599 3.696 4.115
```

Values from the calculation:
**Magnetic moment**: 1.124 μB per atom
**Calculated density**: 5.81 Mg/m³

Short version: *Q* is the least stable of them.

*P*
FeCuCl2: single point on PBEsol structure, SCAN.

Geometry as extended XYZ:
```
4
Lattice="-0.699 2.482 1.801 -2.239 0.537 -2.143 -4.281 -3.764 3.528" Properties=species:S:1:pos:R:3 pbc="T T T"
Cu -2.082 -1.830 1.715
Fe -2.681 0.444 0.828
Cl -0.357 -0.314 0.294
Cl -4.239 -0.926 2.112
```

Values from the calculation:
**Magnetic moment**: 0.774 μB per atom
**Calculated density**: 4.79 Mg/m³

*Q*
FeCuCl2: single point on PBEsol structure, SCAN.

Geometry as extended XYZ:
```
4
Lattice="-3.311 1.725 2.231 -2.826 -2.593 2.050 -0.025 -0.185 4.345" Properties=species:S:1:pos:R:3 pbc="T T T"
Fe -3.081 -0.527 4.313
Cl -1.540 -0.263 2.157
Cu 0.000 0.000 0.000
Cl -4.621 -0.790 6.470
```

Values from the calculation:
**Magnetic moment**: 0.751 μB per atom
**Calculated density**: 5.43 Mg/m³

*R*
FeCuCl2: single point on PBEsol structure, SCAN.

Geometry as extended XYZ:
```
4
Lattice="4.489 0.000 0.000 2.245 3.888 0.000 2.245 1.296 3.666" Properties=species:S:1:pos:R:3 pbc="T T T"
Fe 2.245 1.296 0.916
Cl 6.734 3.888 2.749
Cl 0.000 0.000 0.000
Cu 4.489 2.592 1.833
```

Values from the calculation:
**Magnetic moment**: 0.814 μB per atom
**Calculated density**: 4.94 Mg/m³

Short version: *R* is the least stable of them.

*P*
Cu2HgCl: single point on PBEsol structure, SCAN.

Geometry as extended XYZ:
```
4
Lattice="-2.655 1.706 -0.837 -1.335 -2.698 -1.265 -2.556 -1.297 5.461" Properties=species:S:1:pos:R:3 pbc="T T T"
Cl -3.273 -1.144 1.679
Cu -0.562 -0.285 1.200
Cu -1.994 -1.012 4.261
Hg -1.995 -0.496 -1.051
```

Values from the calculation:
**Magnetic moment**: 0.000 μB per atom
**Calculated density**: 9.17 Mg/m³

*Q*
Cu2HgCl: single point on PBEsol structure, SCAN.

Geometry as extended XYZ:
```
4
Lattice="-1.654 2.585 -0.129 -0.083 -2.003 -2.492 -6.109 -3.749 3.216" Properties=species:S:1:pos:R:3 pbc="T T T"
Cl -0.827 1.293 -0.064
Cu -4.689 -2.877 2.469
Cu -1.420 -0.872 0.748
Hg -3.882 -0.582 1.544
```

Values from the calculation:
**Magnetic moment**: 0.000 μB per atom
**Calculated density**: 8.91 Mg/m³

*R*
Cu2HgCl: single point on PBEsol structure, SCAN.

Geometry as extended XYZ:
```
4
Lattice="2.950 0.000 0.000 1.475 5.000 0.108 1.475 1.431 4.792" Properties=species:S:1:pos:R:3 pbc="T T T"
Hg 1.475 0.000 0.000
Cu 2.950 1.718 1.309
Cu 2.950 4.713 3.591
Cl 1.475 3.215 2.450
```

Values from the calculation:
~~~

### Outcome
*P*
FeCu2Cl: single point on PBEsol structure, SCAN.

Geometry as extended XYZ:
```
4
Lattice="2.759 0.000 0.000 0.000 3.907 0.000 -1.380 -1.954 5.095" Properties=species:S:1:pos:R:3 pbc="T T T"
Cu 0.000 0.000 2.844
Cl 1.380 0.000 0.000
Cu 1.380 1.954 2.251
Fe 0.000 1.954 0.000
```

Values from the calculation:
**Magnetic moment**: 0.818 μB per atom
**Calculated density**: 6.60 Mg/m³

*Q*
FeCu2Cl: single point on PBEsol structure, SCAN.

Geometry as extended XYZ:
```
4
Lattice="-2.040 -1.096 1.497 -0.023 -3.032 -2.252 4.836 -0.450 3.723" Properties=species:S:1:pos:R:3 pbc="T T T"
Cu 0.327 -0.216 0.288
Cl 1.337 -2.106 2.821
Cu 1.285 -2.372 0.014
Fe 3.627 -2.397 3.190
```

Values from the calculation:
**Magnetic moment**: 0.786 μB per atom
**Calculated density**: 6.16 Mg/m³

Short version: *P* is the least stable of them.

*P*
FeCuCl: single point on PBEsol structure, SCAN.

Geometry as extended XYZ:
```
3
Lattice="2.892 0.013 0.000 -1.299 2.583 0.000 -0.796 -1.298 5.721" Properties=species:S:1:pos:R:3 pbc="T T T"
Fe 0.000 0.000 3.831
Cl 0.796 1.298 5.648
Cu 0.796 1.298 1.963
```

Values from the calculation:
**Magnetic moment**: 1.083 μB per atom
**Calculated density**: 6.00 Mg/m³

*Q*
FeCuCl: single point on PBEsol structure, SCAN.

Geometry as extended XYZ:
```
3
Lattice="-1.496 2.255 -0.833 -2.029 -0.659 1.861 4.276 2.285 3.317" Properties=species:S:1:pos:R:3 pbc="T T T"
Fe 1.689 2.072 2.574
Cu -0.787 1.995 2.001
Cl 0.599 3.696 4.115
```

Values from the calculation:
**Magnetic moment**: 1.124 μB per atom
**Calculated density**: 5.81 Mg/m³

Short version: *Q* is the least stable of them.

*P*
FeCuCl2: single point on PBEsol structure, SCAN.

Geometry as extended XYZ:
```
4
Lattice="-0.699 2.482 1.801 -2.239 0.537 -2.143 -4.281 -3.764 3.528" Properties=species:S:1:pos:R:3 pbc="T T T"
Cu -2.082 -1.830 1.715
Fe -2.681 0.444 0.828
Cl -0.357 -0.314 0.294
Cl -4.239 -0.926 2.112
```

Values from the calculation:
**Magnetic moment**: 0.774 μB per atom
**Calculated density**: 4.79 Mg/m³

*Q*
FeCuCl2: single point on PBEsol structure, SCAN.

Geometry as extended XYZ:
```
4
Lattice="-3.311 1.725 2.231 -2.826 -2.593 2.050 -0.025 -0.185 4.345" Properties=species:S:1:pos:R:3 pbc="T T T"
Fe -3.081 -0.527 4.313
Cl -1.540 -0.263 2.157
Cu 0.000 0.000 0.000
Cl -4.621 -0.790 6.470
```

Values from the calculation:
**Magnetic moment**: 0.751 μB per atom
**Calculated density**: 5.43 Mg/m³

*R*
FeCuCl2: single point on PBEsol structure, SCAN.

Geometry as extended XYZ:
```
4
Lattice="4.489 0.000 0.000 2.245 3.888 0.000 2.245 1.296 3.666" Properties=species:S:1:pos:R:3 pbc="T T T"
Fe 2.245 1.296 0.916
Cl 6.734 3.888 2.749
Cl 0.000 0.000 0.000
Cu 4.489 2.592 1.833
```

Values from the calculation:
**Magnetic moment**: 0.814 μB per atom
**Calculated density**: 4.94 Mg/m³

Short version: *R* is the least stable of them.

*P*
Cu2HgCl: single point on PBEsol structure, SCAN.

Geometry as extended XYZ:
```
4
Lattice="-2.655 1.706 -0.837 -1.335 -2.698 -1.265 -2.556 -1.297 5.461" Properties=species:S:1:pos:R:3 pbc="T T T"
Cl -3.273 -1.144 1.679
Cu -0.562 -0.285 1.200
Cu -1.994 -1.012 4.261
Hg -1.995 -0.496 -1.051
```

Values from the calculation:
**Magnetic moment**: 0.000 μB per atom
**Calculated density**: 9.17 Mg/m³

*Q*
Cu2HgCl: single point on PBEsol structure, SCAN.

Geometry as extended XYZ:
```
4
Lattice="-1.654 2.585 -0.129 -0.083 -2.003 -2.492 -6.109 -3.749 3.216" Properties=species:S:1:pos:R:3 pbc="T T T"
Cl -0.827 1.293 -0.064
Cu -4.689 -2.877 2.469
Cu -1.420 -0.872 0.748
Hg -3.882 -0.582 1.544
```

Values from the calculation:
**Magnetic moment**: 0.000 μB per atom
**Calculated density**: 8.91 Mg/m³

*R*
Cu2HgCl: single point on PBEsol structure, SCAN.

Geometry as extended XYZ:
```
4
Lattice="2.950 0.000 0.000 1.475 5.000 0.108 1.475 1.431 4.792" Properties=species:S:1:pos:R:3 pbc="T T T"
Hg 1.475 0.000 0.000
Cu 2.950 1.718 1.309
Cu 2.950 4.713 3.591
Cl 1.475 3.215 2.450
```

Values from the calculation: